Are There Health Benefits to Eating Octopus?

Medically Reviewed by Kathleen M. Zelman, RD, LD, MPH on November 10, 2022
4 min read

The octopus is a boneless sea creature that has fascinated people for centuries — both on and off their plate. It’s an important protein source in coastal communities around the world and is considered a delicacy by many cultures.

As a folk remedy it’s thought to cure impotence and heighten sexual libido. While research doesn’t back up these claims, scientists note that some nutrients in octopus can benefit reproductive health

The octopus has a unique biology that has spurred a large body of ongoing research. Known as the chameleon of the sea, an octopus can change shape and color, regrow its limbs, and has multiple hearts and brains. 

While studies continue to look into potential benefits of eating octopus, many point to the health-boosting effects found in its nutrients — including some that our diets often lack.

A 4-ounce serving of raw octopus contains: 

  • Calories: 93
  • Protein: 17 grams
  • Fat: 1 gram
  • Carbohydrates: 2 grams
  • Fiber: 0 grams
  • Sugar: 0 grams

Octopus is a good source of: 

It’s also an excellent source of potassium, magnesium, and calcium. Studies show that these minerals in combination can reduce the risk of stroke and promote a healthy heart. 

Octopus is rich in vitamins and minerals. It’s also low in fat, making it a great source of complete protein for people trying to manage their weight. This can depend on how it’s prepared, however. Frying it or cooking octopus in butter or oil can add extra fat and calorie content to your meal. 

Some added health benefits of including octopus in your diet may include:  

Heart Health

Octopus is an excellent source of omega-3 fatty acids, "good fats" linked to a range of heart-healthy benefits. Omega-3s can lower your blood pressure and slow the buildup of plaque in your arteries, reducing stress on the heart. 

This research also shows that omega-3s can:

Octopus also contains taurine, an amino acid that studies show can reduce blood pressure and cholesterol levels. 

Anticancer Properties

The taurine in octopus has been found to have anti-cancer and antiviral effects. It’s thought to fight inflammation in the body and work as an antioxidant, protecting cells from damage that is associated with cancer. 

Octopus also contains high levels of other antioxidants that may reduce cancer risk, like selenium, vitamin B12, and folate. While research into these antioxidants’ potential is ongoing, deficiencies are strongly linked with increased cancer risk.   

Cognitive Health

Octopus contains magnesium — a mineral many people don’t get enough of in their diet. Research has found that magnesium can support healthy brain activity, memory, and learning processes. This may reduce the risk of cognitive diseases like dementia or Alzheimer’s, and is being studied as a treatment for these degenerative diseases. 

Depression Relief

Two of the omega-3 fatty acids found in octopus — eicosapentaenoic acid (EPA) and docosahexaenoic acid (DHA) — are thought to prevent or treat depression and other mood disorders. While research is ongoing, clinical trials have found promising results in the omega-3s’ ability to lessen symptoms. 

Octopus is a lean option for getting enough protein in your diet. Its high nutritional content can cause problems for people with some medical conditions, however. Talk with your doctor before adding octopus to your diet, and consider the following potential health risks:

## Here the entry breaks off for records of molecules
{"formula": "C8H17N3O3", "method": "ωB97M-V/def2-TZVPD", "homo_energy_ev": -8.94, "smiles": "NCCCC[C@H](NC(=O)CN)C(=O)O", "gap_ev": 9.393, "e_tot_ha": -705.002105, "mol_weight_g_mol": 203.2, "total_charge": 0, "de_lowest_kcal_mol": 21.3, "species": ["N", "C", "C", "C", "C", "C", "N", "C", "O", "C", "N", "C", "O", "O", "H", "H", "H", "H", "H", "H", "H", "H", "H", "H", "H", "H", "H", "H", "H", "H", "H"], "positions_angstrom": [[-2.3166, 1.5077, -2.3024], [-1.0769, 0.8539, -2.3471], [-0.0751, 1.4974, -1.3717], [-0.5440, 1.6139, 0.0503], [-1.2533, 0.3873, 0.6448], [-0.3532, -0.7475, 0.9471], [0.3637, -1.2887, -0.1852], [1.7169, -1.6324, -0.3951], [2.1000, -2.2886, -1.3543], [2.7295, -1.0111, 0.6375], [2.4595, 0.1934, 1.4303], [-1.0007, -1.8774, 1.6955], [-1.3206, -2.9263, 1.1495], [-1.1821, -1.5017, 2.9499], [-2.2586, 2.4645, -2.6297], [-2.7204, 1.5505, -1.3739], [-0.6449, 0.8935, -3.3541], [-1.0761, -0.2041, -2.1726], [-0.1134, 2.5594, -1.7871], [0.9049, 0.9024, -1.4688], [-1.2178, 2.4554, 0.1023], [0.2920, 1.9534, 0.7019], [-1.9139, -0.0171, -0.1652], [-1.8194, 0.7112, 1.5089], [0.3953, -0.3731, 1.6634], [-0.2383, -2.0552, -0.6035], [3.5310, -0.8479, -0.0625], [3.0386, -1.7890, 1.3686], [2.4142, 1.0421, 0.9009], [2.8098, 0.2123, 2.3987], [-1.6300, -2.2384, 3.4236]], "forces_ev_per_a": [[-2.1, 0.4, -0.3], [2.2, -0.1, 0.2], [0.9, 0.2, -1.8], [0.4, 0.0, 1.1], [-0.8, 0.4, -2.1], [2.8, -0.4, 1.9], [-0.6, -2.6, -2.0], [-1.2, 1.2, 1.2], [-0.6, 0.7, 1.5], [0.5, -0.3, 0.1], [-0.5, -1.0, 0.2], [-0.5, -0.6, -2.3], [0.2, 1.1, 1.6], [-0.8, -1.3, 1.2], [0.1, -0.1, -0.1], [0.0, -0.1, -0.1], [-0.1, 0.3, 0.1], [-0.8, -0.7, 0.3], [1.3, -1.1, 0.6], [-1.1, 1.5, 0.1], [-0.5, 0.2, 0.0], [-0.4, -0.4, -0.3], [-0.2, 0.5, 0.8], [-0.2, -0.3, 0.2], [-0.2, -0.1, -0.3], [0.9, 1.3, 0.1], [0.9, 0.0, 0.1], [-0.2, 0.2, -0.8], [0.3, 0.3, 0.3], [-0.2, 0.2, -1.3], [0.2, 0.5, -0.2]]}


A four-ounce serving of octopus contains about 30% of your daily recommended cholesterol intake. Your body needs cholesterol to build healthy cells, but too much can increase your risk of heart disease. 


Sodium from food is necessary for healthy nervous system function, but it can contribute to heart problems when consumed in excess. Octopus is high in sodium, so be sure to eat it in moderation if you’re watching your intake. 

Shellfish Allergy

Some people have an intolerance to the proteins in seafood. If you have an allergy to types of shellfish — like oysters, scallops, or shrimp — you should also avoid octopus. 


Studies have found the presence of heavy metals in octopus tissue, including toxins like lead. While levels of these toxins are below the standards set for safety in humans, consuming too much of it or other fish could lead to health issues. 

Pregnancy Concerns

The American College of Obstetricians and Gynecologists recommends that pregnant or nursing women limit consumption of shellfish like octopus to 12 ounces per week.